• To do:
Your job: filter the lines underneath: keep the lines with the word "powder".

• Input:
____________
For NpV2FeO6, the GGA+U geometry in Alexandria gives the simulated powder X-ray diffraction pattern in this record (Cu Kα (weighted mean of Kα1 and Kα2)).

```
data_NpV2FeO6
_chemical_formula_sum 'Np1 V2 Fe1 O6'
_cell_length_a 5.3340
_cell_length_b 5.3586
_cell_length_c 5.7274
_cell_angle_alpha 62.35
_cell_angle_beta 63.11
_cell_angle_gamma 60.21
_symmetry_space_group_name_H-M 'P 1'
_symmetry_Int_Tables_number 1
_symmetry_space_group_name_Hall 'P 1'
loop_
_atom_site_label
_atom_site_type_symbol
_atom_site_fract_x
_atom_site_fract_y
_atom_site_fract_z
Np1 Np 0.0000 0.0000 0.0000
V1 V 0.3011 0.2993 0.1008
V2 V 0.7933 0.7969 0.6143
Fe1 Fe 0.5020 0.4970 0.4938
O1 O 0.0716 0.6846 0.8186
O2 O 0.1869 0.5854 0.3220
O3 O 0.4239 0.0726 0.8178
O4 O 0.5944 0.9102 0.3163
O5 O 0.6792 0.4268 0.8077
O6 O 0.9140 0.1807 0.3146
```

Largest 10 diffraction maxima, low angle first, 5 to 70 degrees two-theta:
| 2theta | I/Imax | hkl |
| --- | --- | --- |
| 18.26 | 52 | 0 0 1 |
| 20.06 | 81 | 0 1 0 |
| 22.64 | 100 | 1 1 0 |
| 22.93 | 49 | 1 0 1 |
| 30.99 | 55 | 1 0 -1 |
| 31.28 | 54 | 0 1 -1 |
| 31.41 | 53 | 1 1 2 |
| 33.43 | 99 | 1 -1 0 |
| 33.61 | 47 | 2 1 1 |
| 46.24 | 43 | 0 2 2 |
____________

• Done:
For NpV2FeO6, the GGA+U geometry in Alexandria gives the simulated powder X-ray diffraction pattern in this record (Cu Kα (weighted mean of Kα1 and Kα2)).